Signal Lost, Lives Risked: Why GPS Disruptions Are a Rising Concern

A concerning increase in incidents involving the electro-magnetic spectrum (EMS) is being reported in Eastern Europe, the Baltics and the Eastern Mediterranean. Interrupted GPS signals for aircraft, ships, drones and munitions in Ukraine have been commonplace throughout that conflict, but increasingly, civilian equipment not affiliated with the conflict are reporting issues. Since 2018, there has been a 2000% increase in radio frequency interruption incidents to global navigation systems. 

Since August of 2023, 46,000 aircraft have reported GPS jamming or spoofing while in flight over Eastern Europe. Recently, ships in the Black Sea and Mediterranean have reported GPS spoofing. The risks of these interruptions are high. The culprit in Europe?  Russia – far and away beyond any other suspects. Critical infrastructure and control systems being hacked, spoofed or jammed can have catastrophic results. To better understand the risks, let’s look at what EMS attacks are, the risks involved and how we can better protect ourselves and our organizations.

Record 1
DFT (ωB97M-V/def2-TZVPD) results for a structure of composition C42H31ClIN2O3Y.

Geometry as ORCA input:
```
! wB97M-V def2-TZVPD RIJCOSX def2/J DEFGRID3
* xyz 0 1
Y 0.299 0.622 1.283
O 2.077 -0.513 1.101
C 2.379 -1.737 0.528
C 1.631 -2.832 1.326
C 0.129 -2.899 1.185
C -0.428 -4.135 0.878
C -1.798 -4.271 0.774
C -2.587 -3.162 0.994
C -1.986 -1.948 1.305
C -2.879 -0.756 1.527
C -2.827 0.256 0.350
O -1.575 0.853 0.361
C -3.884 1.352 0.498
C -4.893 1.357 1.449
C -5.807 2.406 1.512
C -5.720 3.460 0.622
C -4.710 3.465 -0.334
C -3.803 2.424 -0.392
C -3.083 -0.525 -0.945
C -4.371 -0.967 -1.244
C -4.614 -1.747 -2.362
C -3.570 -2.092 -3.210
C -2.288 -1.650 -2.925
C -2.044 -0.874 -1.798
N -0.647 -1.814 1.393
C 3.881 -2.033 0.650
C 4.677 -1.219 1.444
C 6.032 -1.488 1.590
C 6.605 -2.574 0.946
C 5.814 -3.391 0.150
C 4.463 -3.120 0.002
C 1.994 -1.717 -0.956
C 2.158 -0.524 -1.659
C 1.852 -0.444 -3.009
C 1.378 -1.559 -3.686
C 1.220 -2.753 -2.999
C 1.526 -2.829 -1.647
H 1.888 -2.645 2.372
H 2.026 -3.819 1.085
H 0.225 -4.982 0.723
H -2.241 -5.227 0.528
H -3.664 -3.215 0.918
H -2.599 -0.220 2.440
H -3.890 -1.136 1.669
H -4.986 0.551 2.166
H -6.584 2.392 2.266
H -6.430 4.276 0.670
H -4.631 4.288 -1.034
H -3.008 2.429 -1.127
H -5.195 -0.683 -0.599
H -5.623 -2.076 -2.580
H -3.757 -2.695 -4.089
H -1.465 -1.906 -3.579
H -1.035 -0.538 -1.589
H 4.223 -0.372 1.938
H 6.641 -0.843 2.211
H 7.661 -2.782 1.059
H 6.252 -4.237 -0.364
H 3.862 -3.756 -0.637
H 2.563 0.334 -1.137
H 1.999 0.488 -3.542
H 1.139 -1.497 -4.740
H 0.851 -3.631 -3.514
H 1.393 -3.774 -1.136
Cl 3.025 7.368 1.050
C 2.361 5.837 1.539
C 2.198 5.563 2.863
C 1.654 4.334 3.289
I 1.412 3.993 5.320
C 1.272 3.357 2.393
O 0.751 2.210 2.719
C 1.468 3.655 0.995
N 1.098 2.679 0.119
C 1.192 2.905 -1.172
C 1.688 4.108 -1.699
C 2.095 5.088 -0.838
C 1.991 4.886 0.553
H 2.485 6.301 3.598
H 0.862 2.108 -1.830
H 1.743 4.239 -2.770
H 2.490 6.025 -1.207
*
```

Calculated values
DFT total energy ... -2750.7785 Ha
Gap between HOMO and LUMO ... 7.541 eV
Molar mass ... 862.98 g mol⁻¹
ΔE to the lowest compared entry with this formula, charge and spin ... 5.2 kcal per mole
Lowest unoccupied orbital energy ... -0.22 eV

Record 2
DFT (ωB97M-V/def2-TZVPD) results for a structure of composition C42H31ClN2O4S.

Geometry as ORCA input:
```
! wB97M-V def2-TZVPD RIJCOSX def2/J DEFGRID3
* xyz 0 1
C -5.570 -5.042 0.884
C -6.356 -4.291 1.414
C -7.115 -3.283 2.277
C -7.915 -2.265 1.406
C -7.070 -1.485 0.339
C -5.601 -1.222 0.727
C -4.629 -1.493 -0.243
C -3.195 -1.296 0.059
C -2.815 -0.846 1.319
C -1.298 -0.676 1.670
C -0.544 -2.027 1.361
C -1.261 -3.299 1.914
Cl -1.938 -3.054 3.588
C -3.773 -0.519 2.365
N -3.579 -0.079 3.611
S -5.048 0.120 4.296
N -6.013 -0.375 3.064
C -5.213 -0.713 2.038
H -4.863 -5.850 0.699
H -6.473 -2.827 3.050
H -7.864 -3.901 2.829
H -8.797 -2.773 0.952
H -8.341 -1.498 2.096
H -7.121 -1.971 -0.656
H -7.546 -0.479 0.226
H -4.938 -1.848 -1.242
H -2.444 -1.520 -0.717
H -1.200 -0.340 2.720
H -0.930 0.096 0.955

What Are EMS Attacks?

Militaries conduct Electronic Warfare (EW) for both defense and offense through jamming and spoofing techniques. Jamming is when a transmitter is used to overwhelm or interrupt another transmitter. Spoofing is when a receiver, typically a GPS receiver, is fooled into giving a false location by receiving incorrect signals. Both jamming and spoofing can interrupt the Position-Navigation and Timing (PNT) data flowing over many types of networks. Good PNT data is critical to not only land, air and sea navigation systems, but also to computer networks, communications infrastructure and mobile networks. GPS is a commonly used commercial capability that can be inadvertently impacted by electronic warfare.

Since GPS satellite signals can be relatively weak depending on the position of the GPS receiver and the satellite, jamming can be done easily or even inadvertently. Recent issues with GPS in the Baltic appear to be emanating from Russian emitters in Kaliningrad — not targeted at civilian aircraft, but interfering just the same.

Why Are the Russians Doing This?

In Europe, Russia constitutes the biggest threat from electronic warfare (EW).  Russia has historically invested heavily in EW, along with other means of deception, disinformation, camouflage and concealment. Most recently, EW has been one of the means of “Gray Zone” warfare, Russia’s attempt to fight below the threshold of overt armed conflict.  EW is used along with non-uniformed forces, information warfare and espionage to subvert international norms and escalate a situation, before deescalating to a new state of affairs more preferable to Russia’s worldview. Currently, Russia is likely using GPS spoofing and jamming around its periphery, in the Baltics and Black Sea, and over Poland to intimidate and harass NATO countries. The entry of Sweden and Finland into NATO are likely contributors to increased Russian use of EW. The Russians are also likely concerned about Ukrainian horizontal escalation of that conflict through targeting of Russian facilities in Kaliningrad and elsewhere (See our recent blog on Escalation Dynamics for more information).

What Are the Risks?

The biggest risk from EW is the loss of electronic navigation on a commercial plane or vessel, but EW can also cause critical facilities or platforms to shut down or malfunction. A crash from an EW jammed or spoofed asset could shut down port facilities or airports or cause other critical chokepoints. In an area like the Baltics, where each country is small and relies on a few key facilities to move goods and materials, this could be a catastrophic event. Fortunately, actual events have thus far only resulted in confusion or the loss of equipment.

Although events might be low, the sheer volume of GPS interference is troubling. EW events could cause a loss of confidence in business by customers and employees. This risk goes part and parcel with Russian tactics. If people lose confidence in the organization to provide services or safety — government or commercial — it becomes more likely that the average user is susceptible to disinformation or skepticism. EW attacks could raise the likelihood of government intervention, particularly in areas near conflict zones. This can have a constraining effect on the ability of the business to operate and slow down production and supply chains. 

How Can I Protect My Organization?

**What comes next are data records, not part of the text**
- - -
Entry 1:
132
Properties=species:S:1:pos:R:3:forces:R:3 method="wB97M-V/def2-TZVPD" homo_energy_ev=-2.97 e_tot_ev=-182003.87290 mol_weight_g_mol=1537.7 charge=-2 gap_ev=6.641
Bi -0.33837 -0.21829 0.24381 -0.2232 0.2932 -0.2097
S -3.78433 -1.66728 -1.30866 0.0720 -0.0506 0.0207
P -3.17946 0.15690 -1.75888 0.0500 0.5724 -0.0798
C -1.49737 0.62087 -1.62436 -0.1369 -0.9173 -0.4151
P -0.43579 -0.14927 -2.77332 0.0949 0.3135 0.2752
S 0.65865 -1.58509 -1.82945 0.0809 0.1394 -0.0732
C -1.07503 -0.93928 -4.28993 -0.1141 0.0159 -0.0215
C -1.04574 -0.29560 -5.52569 -0.0060 -0.1119 -0.0210
C -1.55757 -0.92473 -6.65290 0.0086 -0.0173 0.0631
C -2.10147 -2.19951 -6.55150 0.0422 0.0629 0.0406
C -2.12528 -2.84754 -5.32375 0.0056 0.0244 0.0251
C -1.61230 -2.22213 -4.19591 0.0047 0.0111 -0.0577
C 0.75050 1.07536 -3.42931 0.0807 -0.0544 -0.0007
C 1.96903 0.65439 -3.96439 -0.0232 0.0901 0.0136
C 2.88611 1.58716 -4.42789 -0.0443 0.0031 0.0157
C 2.58988 2.94560 -4.36619 -0.0046 -0.0721 0.0198
C 1.37886 3.36749 -3.83737 -0.0432 -0.0336 -0.0243
C 0.46438 2.43284 -3.36384 -0.0139 0.1285 0.0081
C -3.70805 0.60593 -3.48039 0.0268 -0.0309 -0.0580
C -3.10311 1.64778 -4.18618 -0.1788 0.0209 0.0917
C -3.53228 1.98915 -5.46258 0.0074 0.0027 0.0826
C -4.56637 1.28094 -6.06010 0.0205 -0.0022 0.0399
C -5.16688 0.23418 -5.37327 0.0520 0.0033 0.0495
C -4.74103 -0.09966 -4.09211 0.0320 0.0281 -0.0192
C -4.14559 1.40244 -0.80479 0.0207 0.0114 0.1178
C -4.19390 2.73406 -1.22797 0.0271 -0.0510 0.1338
C -4.92695 3.67598 -0.52259 0.0545 -0.0174 -0.0429
C -5.61571 3.30146 0.62473 -0.0196 0.0142 0.0394
C -5.56996 1.98530 1.05658 0.1366 -0.0545 -0.0486
C -4.83829 1.03619 0.34495 -0.0439 0.0365 -0.0787
H -0.62554 0.69988 -5.60712 -0.0111 -0.0329 0.0005
H -1.53734 -0.41535 -7.60956 -0.0020 -0.0087 0.0303
H -2.50629 -2.68510 -7.43148 -0.0009 -0.0072 0.0038
H -2.55251 -3.84013 -5.23751 0.0232 0.0405 -0.0035
H -1.63126 -2.72021 -3.23594 -0.0334 0.0018 0.0232
H 2.21317 -0.40180 -3.97946 -0.0008 0.0219 0.0143
H 3.84449 1.25379 -4.81007 -0.0541 0.0180 0.0216
H 3.31870 3.67386 -4.70132 -0.0166 -0.0075 -0.0113
H 1.15518 4.42655 -3.76187 0.0179 -0.0565 0.0141
H -0.45928 2.75666 -2.89384 0.0802 -0.0492 0.0288
H -2.28224 2.18327 -3.72423 -0.0333 -0.0137 -0.0642
H -3.04622 2.79907 -5.99662 -0.0085 -0.0311 0.0310
H -4.89340 1.53659 -7.06175 -0.0016 -0.0056 0.0194
H -5.96447 -0.33286 -5.84010 0.0119 0.0096 0.0222
H -5.19291 -0.92449 -3.55289 0.0182 0.0024 -0.0139
H -3.65609 3.04132 -2.11337 0.0430 0.0116 -0.0298
H -4.95224 4.70579 -0.86455 0.0116 -0.0571 0.0202
H -6.17942 4.04079 1.18563 0.0250 -0.0545 -0.0342
H -6.08318 1.68388 1.95904 -0.0168 -0.0409 0.0701
H -4.81237 0.00597 0.67797 0.0599 0.0075 0.0428
C 2.14073 -2.02158 3.12084 -0.0880 -0.0199 0.1053
C 2.98960 -1.00256 2.38986 0.0077 0.0672 0.0326
N 2.25221 0.20894 2.02792 -0.1884 -0.1508 -0.1178
C 1.60860 0.90201 3.14188 0.1218 0.0166 -0.0404
C 2.55238 1.34583 4.26012 -0.0189 -0.0068 0.0616
C 3.04779 1.07700 1.15647 -0.1146 0.0634 0.0228
- - -

Commercial businesses can't actively prevent jamming or spoofing by state actors. However, they can take measures to increase awareness and be proactive. Businesses can assess vulnerabilities and risks based on geography, facilities, systems and geopolitical conflict.  Cataloging vulnerable systems and prioritizing risk areas can make businesses more aware of EW risks and orient security managers to response measures.  

Reliable risk data is the foundation of any threat and vulnerability assessment. Understanding where EW has been occurring in the world and the patterns of events near specific locations and assets will help businesses better respond and mitigate these risks. The ADS-B Exchange generates map layers of likely GPS interference based on aircraft reports of their navigation system accuracy. One good source for this map data is John Wiseman’s GPS Jam.

Comparing impacts of previous threats with existing protocols for response and mitigation can facilitate a more accurate analysis of preparedness, even for threats businesses haven’t encountered before. Developing a streamlined standard operating procedure for loss of navigation can speed up the response time for businesses and authorities. In the recent Baltimore Key Bridge Disaster, quick reactions by the ship’s navigator and pilot dispatcher managed to halt traffic onto the bridge, preventing the loss of more lives.

[Attached: data records]
- - -
# 1
A molecular structure, C41H41Cl2F3MnN5O5PS, computed with ωB97M-V with the def2-TZVPD basis set.

Each line ends with the Mulliken charge.
Element x y z (Å)
Mn 0.6843 0.7725 -0.4620  2.03
Cl 0.6780 7.9264 0.1223  -0.28
Cl 0.9286 7.3225 -3.0250  -0.28
S 4.2632 0.2191 -1.4019  0.98
P -2.0647 0.7494 -0.2857  1.09
F 3.7841 -1.1166 -3.6439  -0.22
F 3.7851 -2.3520 -1.8684  -0.20
F 5.6574 -1.6327 -2.6849  -0.27
O 1.4615 2.7178 -4.0510  -0.86
O 4.6900 1.2679 -2.2883  -0.73
O 2.8381 0.2275 -1.0793  -1.45
O 5.1259 -0.0861 -0.2872  -0.75
O 0.0687 4.1431 2.7611  -0.82
N 0.4593 2.7994 0.8781  0.11
N 0.3991 -1.1462 0.4594  1.58
N 0.2674 -0.2370 -2.5350  1.68
N 0.8110 2.3210 -1.8371  1.23
N -0.7092 0.8166 2.6999  1.06
C 0.8783 4.7244 -2.2818  -1.14
C 3.7141 -3.5961 1.6230  0.78
C -3.1313 0.7420 -1.8579  0.40
C 0.2958 0.9611 5.2849  -0.86
C 0.7681 -3.9701 -0.6797  -1.43
C 1.1213 0.1016 -4.7334  -0.84
C -4.8124 -3.3868 1.5153  -1.72
C -0.8446 -1.6365 0.7181  -1.61
C -2.6190 1.8079 -2.8327  -1.18
C -3.3749 3.0938 0.4032  -1.46
C 0.8290 6.0365 -1.8451  -0.02
C -3.2974 -1.5629 0.6313  0.19
C -0.0170 1.8742 3.0962  -0.13
C 1.5093 -1.9829 0.7932  -0.24
C 2.7367 -4.0835 0.7733  -0.92
C -3.4571 -2.7827 1.2615  0.33
C 0.6145 3.8978 -0.0019  -0.52
C -3.3319 -0.5773 -2.6036  -1.51
C 4.3740 -1.2970 -2.4491  0.62
C -0.9198 -0.1644 3.5785  -0.05
C 0.6004 5.2414 0.3981  -1.05
C 0.1959 3.0546 2.1628  0.16
C 0.8407 0.5464 -3.4491  0.39
C 1.6650 -3.3104 0.3354  1.52
C 0.1790 -2.0059 -4.1251  -1.18
C 3.5958 -2.2747 2.0135  -0.93
C -0.4295 -0.1500 4.8711  -1.11
C 0.7893 3.6471 -1.3990  0.00
C 1.0947 2.0121 -3.1053  -0.05
C -3.3588 1.6068 0.7742  0.51
C 0.4861 1.9962 4.3951  -0.60
C -3.2286 1.4570 2.2850  -1.79
C -1.0419 -2.8585 1.4362  0.09
C -2.2778 -3.4057 1.6793  -1.22
C -0.0668 -1.4753 -2.8697  -1.38
C -2.0629 -0.9607 0.3652  0.07
C 4.8831 -4.4405 2.0552  -1.68
C 2.6079 -0.0221 2.0099  -0.53
C 2.5406 -1.4670 1.6089  0.48
C 0.7957 -1.1997 -5.0698  -0.85
C 0.7076 6.2912 -0.5000  0.01
H -5.0847 -3.3600 2.5753  0.25
H 5.0180 -4.4102 3.1393  0.36
H 1.0069 4.5257 -3.3315  0.70
H -3.4460 -1.4325 -1.9372  0.22
H -0.1677 -3.3740 1.8123  0.51
H 0.4876 5.4713 1.4406  0.85
H -2.4886 2.7831 -2.3623  0.26
H -4.1495 1.8247 2.7503  0.60
H -4.3168 1.1617 0.4811  0.68
H -2.3996 2.0479 2.6734  0.39
H -3.3149 1.9205 -3.6712  0.51
H -4.1189 1.0634 -1.5106  0.68
H 1.0138 -1.5816 -6.0603  0.37
H 0.8467 -5.0557 -0.5870  0.49
H -1.6507 1.5234 -3.2372  -0.06
H 4.3680 -1.8275 2.6332  0.37
H 3.3508 0.4883 1.3969  0.20
H -4.1957 -1.0234 0.3378  0.06
H 1.0969 -3.7019 -1.6846  0.14
H -1.5032 -1.0044 3.2212  0.00
H 2.9097 0.0811 3.0551  0.57
H 2.8133 -5.1047 0.4086  0.21
H -2.4982 -0.7783 -3.2727  0.26
H -5.5851 -2.8461 0.9654  0.40
H -2.3802 3.5293 0.5297  0.21
H -3.0793 0.4200 2.5866  0.17
H 4.7443 -5.4825 1.7613  0.39
H -0.1066 -3.0266 -4.3446  0.51
H 5.8113 -4.0852 1.6006  0.29
H -4.8523 -4.4328 1.1987  0.36
H -4.0656 3.6368 1.0553  0.46
H -2.3325 -4.3435 2.2273  0.32
H 0.7001 1.0170 6.2894  0.37
- - -
[Back to the entry]

Set policies and procedures to ensure a proactive security approach and consistent best practices for responding to and mitigating the impact of state-sponsored conflict, including EW. Well-designed tabletop exercises can ensure that informational siloes are removed and process gaps are filled. Consider incorporating targeted or accidental electronic interference into the next exercise scenario. Organizations can simulate responses to GPS interference on their facilities or assets and develop response procedures.

The mission can feel daunting and the path forward unclear. If you’d like to continue this discussion, provide feedback, or are looking for assistance, OnSolve is here to help.

Matt Rasmussen

Matt Rasmussen is a 23-year U.S. Army Veteran who currently serves as an Assistant Professor and Course Director at the U.S. Army War College. Matt’s most recent operational assignments were first as an infantry battalion commander and then as a hand-selected combat advisor battalion commander. During his Army career, Matt has served at every operational echelon from platoon to division, and deployed to Iraq and Afghanistan four times.